A classification system is used by the Federal Bureau of Prisons to determine the classification of prisoners. Basically, a Security Point Total score is determined by this assessment. This one is the main thing that determines the security level of incarceration. Apparently, similar systems are used by a lot of state departments of corrections.
The best thing to determine the best prison security level is the Security Point Total, even though some other factors such as medical care level, mental health care level, specific defendant factors, and so on are also considered. It is known as the centerpiece of the classification of prisoners.
Initial Prison Designation
Apparently, every federal inmate is assigned to a certain level of security based on their custody and classification score. At first, the Designation and Sentence Computation Center or DSCC of the Bureau of Prisons calculates this security score. Usually, this is completed within three days of getting the documentation that is needed.
Inserted here: data records
- - -
(1)
VASP calculation (GGA-PBE) on a relaxed structure of Al2CoSiNi.

Cell and atoms, written as extended XYZ:
```
5
Lattice="4.414 0.000 0.000 0.000 4.414 0.000 0.000 0.000 4.179" Properties=species:S:1:pos:R:3 pbc="T T T"
Al 0.000 2.207 0.000
Al 2.207 0.000 0.000
Co 0.000 0.000 2.089
Si 2.207 2.207 2.089
Ni 2.207 2.207 0.000
```

Uncorrected formation energy, eV/atom: 0.39
SG: P4/mmm (123)

(2)
VASP calculation (GGA-PBE) on a relaxed structure of SmAl3CoNi.

Cell and atoms, written as extended XYZ:
```
12
Lattice="3.602 -5.176 0.000 3.602 5.176 0.000 0.000 0.000 5.883" Properties=species:S:1:pos:R:3 pbc="T T T"
Sm 3.602 2.587 4.412
Sm 3.602 -2.587 1.471
Al 3.602 2.666 1.471
Al 1.802 0.000 0.000
Al 1.802 0.000 2.941
Al 5.402 0.000 0.000
Al 5.402 0.000 2.941
Al 3.602 -2.666 4.412
Co 3.602 4.877 1.471
Co 3.602 -4.877 4.412
Ni 3.602 0.430 1.471
Ni 3.602 -0.430 4.412
```

SG: Cmcm (63)
DFT formation energy, meV per atom: -271

(3)
VASP calculation (GGA-PBE) on a relaxed structure of Sm2AlCo2Ni5.

Cell and atoms, written as extended XYZ:
```
20
Lattice="8.891 0.000 0.000 0.000 8.891 0.000 0.000 0.000 3.731" Properties=species:S:1:pos:R:3 pbc="T T T"
Sm 1.582 2.863 0.000
Sm 2.863 7.309 0.000
Sm 6.028 1.582 0.000
Sm 7.309 6.028 0.000
Al 0.000 0.000 0.000
Al 4.446 4.446 0.000
Co 1.074 5.519 0.000
Co 3.372 1.074 0.000
Co 5.519 7.818 0.000
Co 7.818 3.372 0.000
Ni 0.000 4.446 1.865
Ni 0.535 7.076 1.865
Ni 1.815 0.535 1.865
Ni 2.630 4.980 1.865
Ni 3.911 2.630 1.865
Ni 4.446 0.000 1.865
Ni 4.980 6.261 1.865
Ni 6.261 3.911 1.865
Ni 7.076 8.357 1.865
Ni 8.357 1.815 1.865
```

SG: P4/mbm (127)
DFT formation energy, meV per atom: -179

(4)
VASP calculation (GGA-PBE) on a relaxed structure of Sr2AlCoNi.

Cell and atoms, written as extended XYZ:
```
5
Lattice="5.627 0.000 0.000 0.000 5.627 0.000 0.000 0.000 4.527" Properties=species:S:1:pos:R:3 pbc="T T T"
Sr 0.000 2.814 0.000
Sr 2.814 0.000 0.000
Al 0.000 0.000 2.264
Co 2.814 2.814 2.264
Ni 0.000 0.000 0.000
```

SG: P4/mmm (123)
DFT formation energy, meV per atom: 383

----------

An optimized crystal structure of Ti3HgN, computed with PBE-GGA.

E_form (uncorrected), meV per atom: -794

CIF file:
```
data_Ti3HgN
_cell_length_a 9.638
_cell_length_b 12.155
_cell_length_c 5.163
_cell_angle_alpha 90.00
_cell_angle_beta 90.28
_cell_angle_gamma 90.00
_space_group_name_H-M_alt 'C 1 2/c 1'
_space_group_IT_number 15
loop_
_space_group_symop_operation_xyz
'x,y,z'
'-x,-y,-z'
'-x,y,-z+1/2'
'x,-y,z+1/2'
'x+1/2,y+1/2,z'
'-x+1/2,-y+1/2,-z'
'-x+1/2,y+1/2,-z+1/2'
'x+1/2,-y+1/2,z+1/2'
loop_
_atom_site_label
_atom_site_fract_x
_atom_site_fract_y
_atom_site_fract_z
_atom_site_occupancy
Ti1 0.112 0.069 0.419 1
Ti2 0.123 0.186 0.917 1
Ti3 0.125 0.308 0.443 1
Hg1 0.138 0.435 0.943 1
N1 0.000 0.063 0.750 1
N2 0.000 0.196 0.250 1
```
- - -
- Initial designation documentation and process
The Designation and Sentence Computation Center, which is also more known as DSCC in short, gets the documentation from the U.S. Marshals Service and the U.S. Probation Department when making initial designation determinations. The Pre-Sentence Report or PSR, Judgment and Commitment Order, and Statement of Reasons are included in all the documents. Then, DSCC bases its prison security level determinations on the documents.
Crystal structures from another source follow:
+++
(1)
3
Lattice="-4.200 0.978 0.574 1.204 -4.132 -0.632 0.281 -0.314 2.591" Properties=species:S:1:pos:R:3 comment="LiMgCo PBE relaxed" total_magnetization_mub_per_atom=0.26 space_group=P3m1 e_tot_ha_per_atom=-0.1227 formation_enthalpy_0k_ev_per_atom=0.198 crystal_system=trigonal pbc="T T T"
Li -2.338 -0.792 0.726
Co 0.035 -0.040 0.327
Mg -0.412 -2.636 1.480

=====

(2)
4
Lattice="-1.977 -2.675 2.750 -1.649 -0.812 -1.975 2.709 -4.214 -2.153" Properties=species:S:1:pos:R:3 comment="Li2MgCo PBE relaxed" total_magnetization_mub_per_atom=0.29 space_group=Pm e_tot_ha_per_atom=-0.1087 formation_enthalpy_0k_ev_per_atom=0.174 crystal_system=monoclinic pbc="T T T"
Co -0.520 -5.174 -2.021
Mg 0.626 -2.722 -2.198
Li 1.309 -4.899 -3.826
Li -0.740 -2.446 0.475

=====

(3)
4
Lattice="-2.020 1.688 3.786 2.224 -2.253 3.352 1.879 2.403 -3.458" Properties=species:S:1:pos:R:3 comment="Li2MgCo PBE relaxed" total_magnetization_mub_per_atom=0.21 space_group=I-4m2 e_tot_ha_per_atom=-0.1071 formation_enthalpy_0k_ev_per_atom=0.216 crystal_system=tetragonal pbc="T T T"
Co -0.020 1.904 1.949
Li 0.000 0.000 0.000
Mg 0.102 -0.283 3.569
Li 2.102 -0.066 1.732

=====

(4)
5
Lattice="3.563 0.000 0.000 0.000 3.563 0.000 1.781 1.781 6.007" Properties=species:S:1:pos:R:3 comment="Li2MgCo2 PBE relaxed" total_magnetization_mub_per_atom=0.60 space_group=I4/mmm e_tot_ha_per_atom=-0.1286 formation_enthalpy_0k_ev_per_atom=0.427 crystal_system=tetragonal pbc="T T T"
Li 1.781 3.563 3.003
Mg 0.000 0.000 0.000
Co 1.781 1.781 1.078
Li 3.563 1.781 3.003
Co 3.563 3.563 4.929

=====

(5)
3
Lattice="-4.833 -3.536 -2.482 -1.512 -5.227 -3.524 3.131 3.308 4.613" Properties=species:S:1:pos:R:3 comment="LiMgCo PBE relaxed" total_magnetization_mub_per_atom=0.47 space_group=I4mm e_tot_ha_per_atom=-0.1218 formation_enthalpy_0k_ev_per_atom=0.224 crystal_system=tetragonal pbc="T T T"
Mg -4.126 -5.698 -3.905
Co -6.336 -8.751 -5.997
Li -2.228 -3.076 -2.108

=====

(6)
6
Lattice="4.794 0.000 0.000 2.397 4.151 0.000 2.397 1.384 3.914" Properties=species:S:1:pos:R:3 comment="LiMgCo4 PBE relaxed" total_magnetization_mub_per_atom=1.00 space_group=F-43m e_tot_ha_per_atom=-0.1932 formation_enthalpy_0k_ev_per_atom=0.065 crystal_system=cubic pbc="T T T"
Co 5.991 3.459 2.446
Co 4.794 2.768 0.491
Co 3.596 3.459 2.446
Co 4.794 1.385 2.446
Mg 0.000 0.000 0.000
Li 2.397 1.384 0.978

=====

(7)
5
Lattice="-3.472 0.119 2.346 1.793 -2.572 2.784 1.283 2.797 1.757" Properties=species:S:1:pos:R:3 comment="Li2MgCoN PBE relaxed" total_magnetization_mub_per_atom=0.07 space_group=P4/mmm e_tot_ha_per_atom=-0.1600 crystal_system=tetragonal raw_formation_energy_ev_per_fu=-0.9 pbc="T T T"
N 0.000 0.000 0.000
Li 0.896 -1.286 1.392
Mg -0.198 0.172 3.444
Li -1.736 0.059 1.173
Co 0.642 1.398 0.879

=====

(8)
5
+++
The standardized process of the initial designation determination includes:
- The prisoner is sentenced.
- The Clerk of Court sends the Judgment and Commitment Order to the Designation and Sentence Computation Center or DSCC.
-- These crystal structures were left in the text by mistake --
┌──
BaFeSeN2 after structural relaxation, computed with GGA-PBE.

Unit cell a=4.073 b=4.073 c=5.011 alpha=90.00 beta=90.00 gamma=90.00
Fractional coordinates of all 5 atoms:
Ba (0.000, 0.000, 0.000)
Fe (0.500, 0.500, 0.500)
Se (0.500, 0.500, 0.000)
N (0.000, 0.500, 0.500)
N (0.500, 0.000, 0.500)

Energy above the lowest structure with this stoichiometry   0.00 eV per formula unit
D(E_F)   0.753 states/eV per atom
Formation energy without anion corrections   436 meV/atom
└──
- The U.S. Marshals Service suggests DSCC that the prisoner is ready for designation to federal prison.
- DSCC contacts the responsible agencies in case any documents are missing.
- DSCC does a custody and classification analysis to determine the security level and make an initial designation.
- Factors considered when making initial designation determinations
The DSCC team members will calculate the Security Point Total of the prisoner by using the documents mentioned above. The process includes considering applicable Public Safety Factors and Management Variables. There is a DSCC team that is known as Hotel Team that is responsible for the initial designation determinations.
A total of nine categories of information are used by DSCC officials to classify prisoners to certain prison security levels and individual federal prisons. There are a number of factors that are considered when making initial designation determinations, such as indicated prison security level, inmate staff supervision needs, the physical health and the mental health care needs of the defendant, the current bed space of different prisons, proximity to release residence, any judicial recommendations, separation orders amongst inmates, and special security measures required for the certain inmate.
When the process is completed, the U.S. Marshals Service of the placement determination will be notified by DSCC. Then, the prisoners in custody are routed to transfer to the designated institution. Everything is facilitated by the U.S. Marshals Service.
Redesignation | Recalculating Security Point Scores
For your information, the prison security level of the inmate is able to be recalculated by their case manager once they are in custody. This kind of thing is done at the prison where the inmate is placed. After the initial designation, the next job that should be done by the case manager of the inmate is to rescore the inmate periodically.
While it is true that it is not hard to view this as the case manager correcting errors, it is too simplistic of a view. Instead, the custody levels of the inmate change with time. Apart from that, another thing that changes with time is security points. For instance, after serving a couple of years, the age of the inmate may dictate a reduced prison security level. The same example is when the inmate is convicted of a prison disciplinary infraction. In this kind of case, their security points would be skyrocketed, and it is possible that it is enough to increase their security level.
- Reasons for redesignations and transfers
There are a number of reasons that explain why a prisoner may need redesignation or transfer to another prison. It is possible that it is the wish of the prisoner or based on the determination of the case manager.
For instance, it is possible for the prisoners to want to move to a place that is close to their home to facilitate visits. It is also possible for their classification level to be changed due to their behavior. Aside from that, the other reasons to move include medical or physical treatment, participation in a certain educational or vocational training program, and so on.
- Annual program review
The ones with the responsibility for periodic custody and classification rescoring are case managers. This kind of thing usually happens during the annual Program Review. During these reviews, the prisoner meets with a minimum of two unit team members. It has been known that the meetings are usually short.
The first Program Review occurs about 7 months following the initial designation of the inmate, according to Bureau policy. The following Program Reviews occur at least every 12 months. It is known to be the time when the classification of prisoners changes. In case the security score of the prisoner remains the same as previous year, they have a chance to move to a lower security prison.
- Approving transfers
The warden has the privilege to approve transfers within the same federal correctional complex. If a prisoner wants to move to a different facility, it is a must for the case manager to submit a redesignation request to DSCC as they are the ones who make the last transfer determination.
The inter complex transfers are known to be common and do not take too much time. Unlike these transfers, transfers to the other federal prisons tend to take much time. After getting the transfer request, this department will then consider both the rationale for transfer and in the end they will make the final transfer determination.